Page 4 of Beautiful Beast
**Materials data from another source follow:**
+++
Entry from Alexandria: an optimized crystal structure of AcTlGeO4 (GGA-PBE).

Space group: No. 11

a = 6.4631 Å, b = 5.9389 Å, c = 7.8752 Å
α = 90.00°, β = 100.62°, γ = 90.00°
With the nearest neighbours (Å) after each atom.
Atoms (fractional coordinates):
O 0.9033 0.4838 0.6610  1 Ge 1.79
O 0.5616 0.2500 0.4380  1 Ge 1.80
O 0.9033 0.0162 0.6610  1 Ge 1.79
O 0.0967 0.9838 0.3390  1 Ge 1.79
O 0.4463 0.7500 0.2024  1 Ge 1.76
O 0.5537 0.2500 0.7976  1 Ge 1.76
O 0.0967 0.5162 0.3390  1 Ge 1.79
O 0.4384 0.7500 0.5620  1 Ge 1.80
Ge 0.7267 0.2500 0.6486  4 O 1.76-1.80
Ge 0.2733 0.7500 0.3514  4 O 1.76-1.80
Ac 0.2185 0.2500 0.5816  6 O 2.49-2.67
Ac 0.7815 0.7500 0.4184  6 O 2.49-2.67
Tl 0.6617 0.7500 0.8721  1 O 2.60
Tl 0.3383 0.2500 0.1279  1 O 2.60


Entry from Alexandria: an optimized crystal structure of AcTmGeO5 (GGA-PBE).

Space group: No. 15

a = 6.0331 Å, b = 6.0331 Å, c = 7.6120 Å
α = 102.31°, β = 102.31°, γ = 107.66°
With the nearest neighbours (Å) after each atom.
Atoms (fractional coordinates):
Ac 0.3314 0.6686 0.2500  1 O 2.31
Ac 0.6686 0.3314 0.7500  1 O 2.31
Tm 0.0000 0.0000 0.5000  6 O 2.11-2.30
Tm 0.0000 0.0000 0.0000  6 O 2.11-2.30
O 0.6751 0.1030 0.3776  1 Ge 1.79
O 0.6033 0.7358 0.9191  1 Ge 1.79
O 0.7358 0.6033 0.4191  1 Ge 1.79
O 0.0946 0.9054 0.2500  2 Tm 2.11, 1 Ac 2.31
O 0.3967 0.2642 0.0809  1 Ge 1.79
O 0.8970 0.3249 0.1224  1 Ge 1.79
O 0.2642 0.3967 0.5809  1 Ge 1.79
O 0.1030 0.6751 0.8776  1 Ge 1.79
O 0.9054 0.0946 0.7500  2 Tm 2.11, 1 Ac 2.31
O 0.3249 0.8970 0.6224  1 Ge 1.79
Ge 0.6790 0.3210 0.2500  4 O 1.79
Ge 0.3210 0.6790 0.7500  4 O 1.79


Entry from Alexandria: an optimized crystal structure of AcUGe2O8 (GGA-PBE).

Space group: No. 119

a = 6.1355 Å, b = 6.1355 Å, c = 6.1355 Å
α = 106.57°, β = 106.57°, γ = 115.43°
With the nearest neighbours (Å) after each atom.
Atoms (fractional coordinates):
O 0.3890 0.0844 0.3046  1 Ge 1.80
O 0.3085 0.1385 0.8299  1 Ge 1.77
O 0.9156 0.6110 0.6954  1 Ge 1.80
O 0.5214 0.6915 0.8299  1 Ge 1.77
O 0.7798 0.0844 0.6954  1 Ge 1.80
O 0.3085 0.4786 0.1701  1 Ge 1.77
O 0.9156 0.2202 0.3046  1 Ge 1.80
O 0.8615 0.6915 0.1701  1 Ge 1.77
Ge 0.7500 0.2500 0.5000  4 O 1.80
Ge 0.5000 0.5000 0.0000  4 O 1.77
Ac 0.2500 0.7500 0.5000  8 O 2.45-2.62
U 0.0000 0.0000 0.0000  8 O 2.30-2.38


Let's list formation energy (no corrections) in order: -2.09, -2.90, -2.45 eV/atom.
+++
**Here the text continues:**
“Guido is late,” Vinny says as he comes to stand by Hank, his meaty grip on my arm unrelenting.
“He’ll be here soon.” Hank shrugs and reaches into his pocket to pull out a pack of cigarettes.
I push thoughts about the time of day aside and fix my eyes on the lit lighter in Hank’s hand. My heart rate skyrockets, adrenaline surging through my veins as I stare at the small flame. This is my chance. But I need my arm to be free.
“Can I have one?” I ask. “Please?”
Hank narrows his eyes at me. “How old are you? Thirteen?”
I suppress the urge to knee him again and smile instead. Similar to my mom, I might be shorter than most women, but I’m sure the asshole can see the swell of boobs under my baggy shirt.
“Yeah, sure,” Hank snorts, taking a cigarette out of the pack and offering it to me.
“Do you mind?” I yank my arm away from Vinny’s squeezing, sausage-like fingers.
Vinny grunts, but releases me.
I take the offered cigarette and put it between my lips, fighting off a few strands of hair the light wind is tossing in my face. More of the unmistakable sea air invades my nostrils as I slowly move my hands to the waistband of my jeans. Hank flicks his Zippo again and extends it toward me.
My lips widen in a sugary grin. “Thank you.”
I lean back and lift the deodorant can in front of me, pressing the nozzle. For a speck of a second, a crisp manly scent wraps around me, but the next instant, the spray reaches the flame and the delicious male fragrance transforms into the stench of burning fabric and charred skin when my makeshift flamethrower hits its target.
Hank roars and stumbles backward, away from the fiery flow. I never expected to have an opportunity to try out this specific trick Uncle Sergei showed me, but life is full of surprises.
Triumph doesn’t last long, however. Pain shoots across the top of my head when Vinny grabs a fistful of my hair. I scream. Tears well in my eyes, and, for the briefest moment, the urge to simply surrender overwhelms me. No. Not happening. I slide the toothbrush from my sleeve into my palm. Gripping the bristled end with my handcuffed hands, I swing, aiming at the motherfucker’s left eye.
The goon is so massive that my blow merely skims his eyelid, leaving a scrape along his cheekbone. Still, Vinny cries out, and his hold on me slips. The moment I’m free, I turn and flee down the runway toward the dirt road. It’s a narrow trail rather than a regular vehicle path, lined with olive trees on either side. Still groggy from whatever shit they spiked me with, and with wobbly legs from being bound for a long-ass time, running is a challenge. I stumble, twice, but the adrenaline surging through my bloodstream keeps me going. This is likely the only chance I’ll have to make my escape.
I’m halfway to the dirt track when the deep rumble of an engine echoes off the surrounding hills. A cloud of dust rises among the trees, and a car emerges around the curve. The sleek white sports vehicle, looking completely out of place in these rural surroundings, draws near. For a split second, I hesitate, not knowing if the person in the car is a friend or foe, but I have no other options. I keep running toward it.
I only make it a few steps before all air leaves my lungs as two hands grab me from behind and lift me off my feet.
“You bitch!” Vinny snarls next to my ear.
“Help!” I yell as I kick my legs.
“Fucking stop!”
“Never!” I wriggle left and right, trying to free myself, but his hold doesn’t waver.
The white car stops a few feet from us. The driver’s door opens, and a blond man in his late twenties steps outside. He’s wearing faded blue jeans and a plain white T-shirt.
“Please, help me,” I choke out, staring at the newcomer.
He spares me a quick glance, then looks at Vinny. “What is this?”
His voice is raspy and carries a slight accent, indicative of a non-native English speaker.
“The hacker.” The growled response comes from just behind me.
What the hell? I was sure I’d been kidnapped because of who my father is, and not because of my little hobby. Maybe these guys don’t even know who I am.
Jean guy’s eyebrows hit his hairline. His green eyes shift to me, scanning from head to toe, then back up again to stop on my tangled hair.
“Such an interesting turn of events.” He meets my stare. “Welcome to Sicily, miss.”